• Published 22nd Feb 2013
  • 2,334 Views, 197 Comments

Just Winging It - arcum42

When it comes to flying, Scootaloo isn't inclined to take 'no' as an answer.

  • ...


In the clubhouse, the three crusaders looked at each other uneasily. In theory there were all sorts of things they could do. Dinner may be coming up, but they still had enough time that they could do something. But somehow their hearts weren't in it.

After a moment silence, all three of them spoke up.

"Do you think we should-"

"I reckon it's time-"

"Maybe we should call it a night?"

They glanced back and forth at each other, somewhat relieved it was out in the open. The fact was, what had just happened to them was disturbing and kind of scary. Scootaloo just wanted to put it out of her mind and go home, and looking at the others, she was pretty sure they felt the same way.

"We'll get together again soon, though, right?" Sweetie Belle asked.

That was pretty much par for the course, Scootaloo reflected. All three of them were good friends, but Sweetie Belle always seemed to need their support a little more than her or Apple Bloom.

This was one of the reasons she put up with Sweetie Belle hugging her a bit more then she would anypony else, in fact. It was as much for Sweetie Belles' sake as hers.

"Of course we will," Scootaloo reassured her. "At the very least, there's magic practice next week."

Sweetie Belle brightened at the reminder.

"That trainin' Twilight's doing will leave you free weekends, too, won't it?" Apple Bloom asked.
"We could do somethin' then."

"I hope it does," Scootaloo groused. "I need to have some time off."

Scootaloo gathered up her books. Some part of her was disturbed at how much time she was going to be spending with them. She'd never been that into reading or academics, and would much rather be practicing on her scooter. But flying was on the line here.

Apple Bloom pulled a piece of canvas that was left over from one of their previous excursions out of a corner, and draped it over the chalk marks left over from their summoning. Scootaloo supposed that they ought to clean it up, but none of them really felt like going near it at this point.

Leaving the clubhouse, the three walked together in silence for a while, none of them particularly wanting to talk about the summoning, but not really able to think about much else. Eventually, they went their separate ways.

Once Scootaloo got home, she immediately headed straight for her room. She took her saddlebags off, and set the book on sigils down in the middle of her desk.

By rights, she really ought to start reading up on creating her own sigils now. She still needed to create the first one to go with her magic exercises, according to that other book. After everything that happened earlier, she really didn't feel like having anything to do with sigils, though.

Taking a piece of paper out, she started doodling idly. As always seemed to be the case, the doodles soon formed into a sketch of Rainbow Dash. She frowned at it. That was another thing bothering her.

Twilight seemed intent on bringing Rainbow into help her train. That was exciting, but it made her nervous, and she honestly wasn't sure how she felt about that.

Having Rainbow Dash teach her how to fly had been one of her oldest dreams, ever since she first saw her doing some of her awesome tricks, but this was different. She'd always pictured Rainbow coming to her and offering to help her learn to fly. Or sometimes it had been Scootaloo going to her, asking, and Rainbow Dash being cool with it.

Not like this, though. This would be Rainbow helping her out because her friend Twilight asked her to. Not because she liked Scootaloo, but as a favor. Not even because of them being 'sisters'.

Sisters. She was actually really nervous about that, too. She wasn't sure, but it felt like Rainbow didn't really want to be sisters. She hadn't said anything since her promise, and Scootaloo was starting to think maybe she was regretting it.

She'd promised Luna the other night she'd talk to her about it, though. She didn't really want to, any more than she wanted to talk to Octy about-

Her pencil clattered to the desk. That's right. Octy already knew. When she'd left, she'd mentioned what had happened in the basement. Scootaloo was suddenly certain that she was going to want to talk about it, probably soon.

And she didn't want to. She really didn't want to talk about it with Octy, for a bunch of reasons. She might be willing to let it go, but it was hardly a coincidence that it had triggered her nightmares last night.

Of course, the fact that it had all happened here didn't really help. The decorations may be different now, but this was still the same room as all those years ago. She walked to the middle of the room. It didn't take much imagination at all to place her back all those years ago.

Suddenly, it seemed colder. The hallway loomed at her from her bedroom doorway. The back of her mind screamed at her in terror. It was stupid, but she felt paralysed. She took one slow step toward the door, then another.

There was nothing down there. She knew it. There wasn't screaming coming from the hallway, and her parents weren't down there dying. They were dead, and had been for years. So why was her heart racing?

She stepped out into the hall. See, nothing there, sil- She heard a loud chopping sound, breaking her chain of thought.

What was that?

It came again. A lump formed in her throat. She kept walking.

"Scoots?" Octavia's voice called out to her from downstairs.

Ok, Octy's here. It must be nothing. She started to relax. This wasn't like her, anyways. She was supposed to be brave. Brave and bold and daring facing-

"Scoots?" Octavia called out again. "Why don't you get yourself washed up and come on down. Dinner's about ready."

Well, she could bravely face dinner, she supposed. Then she smacked herself in the forehead with one hoof. Dinner. The sound had been Octy chopping up vegetables for dinner. Stupid, Scootaloo, stupid.

"I'll be down in a minute!"

Heading over to the bathroom at a considerably faster pace, she splashed some water on her face to try to get herself back in a more normal state of mind. Then, a quick scrubdown of her hooves and a pass of a comb through her mane, and she was ready.

Well, ready in her eyes. She knew some mares could take hours getting ready in the bathroom. She'd never seen the point. Why take great pains with your appearance? It wasn't like she wasn't going to just get all messed up again right afterwards.

Trotting downstairs, Octavia intercepted her, and sent her over to the kitchen for plates. Tonight it was just the two of them, which was a shame. She was still pretty sure she'd get ambushed about last night, and having Vinyl there to run interference would have been really nice.

A couple plates, glasses, and sets of silverware and the table was ready. She sat down to dinner and started eating, not paying very much attention to the meal in front of her. She felt totally drained from the events of the day, and really didn't want to talk about last night.

Of course, Octy might not even notice that she was avoiding the subject.

"Is something on your mind tonight, Scoots?" Octavia said, delicately biting into a green bean.

Or maybe she was bloody psychic.

"No," she said, toying with a carrot on her plate.

"You've gone all monosyllabic," Octavia said. "What's wrong?"

Why were parents always so irritatingly perceptive?

"Nothing's wrong," she insisted. "I'm fine."

Scootaloo half-heartedly took a bite out of a radish, really wishing this meal was over.

"You know you can always talk to me, right?" Octavia said..

"Right," Scootaloo echoed.

"I'd rather not have to find out about what's going on in your life from elsewhere," Octy said, setting her fork down. "Like what happened in Twilight's basement last night."

"I don't want to talk about that." So much for keeping off the subject.

"I gathered," she replied. "It really hurts when I have to find out about important things in your life myself."

"How did you?" Scootaloo asked, curiosity overriding her urge not to talk about it.

"I asked Spike, of course," Octavia said matter-of-factly.

And Spike told her everything she wanted to know. See if I trust him again.

"Of course, he seemed to be under the impression you would have already told me about it."

Well, ok, maybe that was understandable, then.

"So why didn't you tell me, Scoots?" Octavia's voice had a slightly hurt tone to it.

Scootaloo sighed.

"Octy, think back to last night. What exactly happened when I walked in?"

"Well, I'd been waiting for you for hours, worried sick," she recollected. "Then you came in, and I asked you what had happened."

Sure, Octy. In what world was that how things went?

"As I remember, you immediately jumped on me about where I'd been, started lecturing me, then started coming to all sorts of conclusions about what happened without any help from me," Scootaloo said, exasperated.

"I couldn't have been that bad," Octavia said, sipping a glass of wine. "and regardless, if something happens to you, I need to know."

"Maybe." Scootaloo took a big bite of salad, and chewed on it for a minute before continuing. "I was worried, okay?"

"That's a little better," Octavia said. "What had you so worried?"

"Look, Twilight's the only one that was willing to take me seriously and help me with my flying at the time. I wasn't about to mess that up. She's smart, got lots of ideas about it, and is putting bunches of schedules and lists together for me. I didn't want to be told she couldn't help."

"Scoots, I'd discuss anything like that with you before making that big of a decision," Octy reassured her. "It seemed to me that Spike was going to prevent anything like that from happening again, anyway. He mentioned it to me several times."

Thank you, Spike.

"Alright," Scootaloo said slowly. "I suppose should have discussed it with you."

"Was there any other reason you didn't feel comfortable talking about it?"

Of course there was, Octy.


"Maybe," she repeated.

Scootaloo squirmed around. "It was embarrassing."

"You don't have to hide things from me because of them being embarrassing, Scoots. Parents specialize in embarrassing things. I've bathed you, and even changed out your sheets when-" She stopped and looked down at the swirls in her half-full glass of wine. "Oh."

Scootaloo looked down at her salad. "Yeah."

"I suppose… that makes sense if you lost control of all your muscles," she said reflectively. "Spike didn't go into that."

"It's embarrassing," Scootaloo repeated. "It's not like I'm a little kid any more."

"You weren't when I changed your sheets, either."

Thanks ever so much for reminding me.


"It's not your fault. It was those horrible nightmares fault," Octavia told her. "You couldn't have helped this either."

"It doesn't feel like it, though," Scootaloo said.

"Anypony would have had that happen if they were in your place last night, Scoots. It's nothing to be ashamed of."

Actually, Spike had said something similar, hadn't he?

"I suppose."

"So, did you do anything interesting with your friends this afternoon?"

She might as well break it to Octy when she's trying to be all accepting and understanding.


Octavia let out a low moan, her head resting on the dining room table. All in all, Scootaloo thought she was taking it rather well.

"Scootaloo," she said faintly, "do you ever think before doing these things?"

Well, maybe that reaction could have been better, Scootaloo admitted to herself, but it could have been much worse.

"Things might have gotten a little out of hoof."

"A little?" Octavia sighed. "I never thought I'd have Discord to thank for anything. Everything else in the book is safe?"

(These crystal structures were left in the piece by mistake)
<<<
No. 1
# ErTlSn2, relaxed, DFT GGA-PBE
data_ErTlSn2
_chemical_formula_sum 'Er1 Tl1 Sn2'
_space_group_name_H-M_alt 'P 4/m m m'
_space_group_IT_number 123
_space_group_name_Hall '-P 4 2'
_cell_length_a 4.666
_cell_length_b 4.666
_cell_length_c 4.824
_cell_angle_alpha 90.00
_cell_angle_beta 90.00
_cell_angle_gamma 90.00
loop_
_atom_site_label
_atom_site_type_symbol
_atom_site_fract_x
_atom_site_fract_y
_atom_site_fract_z
Er1 Er 0.000 0.000 0.000
Tl1 Tl 0.500 0.500 0.000
Sn1 Sn 0.000 0.500 0.500
# V   105 Å³ per cell
# Formation energy from the elements   -0.33 eV/atom
# Total energy   -0.2990 Ry per atom
# Distance to the lowest polymorph of the same formula   0 meV/atom
# Magnetic moment   0.00 Bohr magnetons per cell


No. 2
# SmDy2ThSc4, relaxed, DFT GGA-PBE
data_SmDy2ThSc4
_chemical_formula_sum 'Sm1 Dy2 Th1 Sc4'
_space_group_name_H-M_alt 'P 4/m m m'
_space_group_IT_number 123
_space_group_name_Hall '-P 4 2'
_cell_length_a 4.983
_cell_length_b 4.983
_cell_length_c 9.067
_cell_angle_alpha 90.00
_cell_angle_beta 90.00
_cell_angle_gamma 90.00
loop_
_atom_site_label
_atom_site_type_symbol
_atom_site_fract_x
_atom_site_fract_y
_atom_site_fract_z
Sm1 Sm 0.000 0.000 0.000
Dy1 Dy 0.000 0.000 0.500
Dy2 Dy 0.500 0.500 0.000
Th1 Th 0.500 0.500 0.500
Sc1 Sc 0.000 0.500 0.253
# V   225 Å³ per cell
# Formation energy from the elements   0.04 eV/atom
# Total energy   -0.4258 Ry per atom
# Magnetic moment   0.00 Bohr magnetons per cell


No. 3
# Dy2TmCuTe5, relaxed, DFT GGA-PBE
data_Dy2TmCuTe5
_chemical_formula_sum 'Dy8 Tm4 Cu4 Te20'
_space_group_name_H-M_alt 'C m c 21'
_space_group_IT_number 36
_space_group_name_Hall 'C 2c -2'
_cell_length_a 4.219
_cell_length_b 18.691
_cell_length_c 12.879
_cell_angle_alpha 90.00
_cell_angle_beta 90.00
_cell_angle_gamma 90.00
loop_
_atom_site_label
_atom_site_type_symbol
_atom_site_fract_x
_atom_site_fract_y
_atom_site_fract_z
Dy1 Dy 0.000 0.109 0.000
Dy2 Dy 0.000 0.125 0.619
Tm1 Tm 0.000 0.189 0.325
Cu1 Cu 0.000 0.429 0.776
Te1 Te 0.000 0.040 0.384
Te2 Te 0.000 0.286 0.988
Te3 Te 0.000 0.313 0.656
Te4 Te 0.000 0.354 0.314
Te5 Te 0.000 0.499 0.103
# V   1016 Å³ per cell
# Total energy   -0.3552 Ry per atom
# Magnetic moment   0.00 Bohr magnetons per cell
# Formation energy from raw total energies   -1.113 eV per atom


No. 4
# NaCr3Hg, relaxed, DFT GGA-PBE
data_NaCr3Hg
_chemical_formula_sum 'Na1 Cr3 Hg1'
_space_group_name_H-M_alt 'P m -3 m'
_space_group_IT_number 221
_space_group_name_Hall '-P 4 2 3'
_cell_length_a 5.016
_cell_length_b 5.016
_cell_length_c 5.016
_cell_angle_alpha 90.00
_cell_angle_beta 90.00
_cell_angle_gamma 90.00
loop_
_atom_site_label
_atom_site_type_symbol
_atom_site_fract_x
_atom_site_fract_y
_atom_site_fract_z
Na1 Na 0.000 0.000 0.000
Cr1 Cr 0.000 0.000 0.500
Hg1 Hg 0.500 0.500 0.500
# V   126 Å³ per cell
# Formation energy from the elements   1.79 eV/atom
# Total energy   -0.3168 Ry per atom
# Distance to the lowest polymorph of the same formula   498 meV/atom
>>>
(The piece goes on)

"Yeah." Scootaloo sighed.

"And the creature is gone now, right?" Octavia said, in a tone of voice that made it clear that an answer of no was not a possibility.

"Yes, Octavia."

"You do realise that trying a spell without reading about it was incredibly foolish, don't you?"She lectured.

"A hungry tentacled thing coming after me made me think that, yeah."

Octavia picked her head off the table. "Scootaloo, whatever will I do with you?"

Karaoke? Scootaloo figured she probably shouldn't reply to that one. After a minute, Octavia continued.

"Well, you know, you did just tell me one other important thing," Octavia said.

"What's that?" Scootaloo asked, curious.

"You have homework tonight."

Scootaloo suddenly sat upright at that.

"I've... got homework?" she repeated slowly. "School's out for summer!"

"School isn't the only place you can get homework, Scoots," she said patiently. "You were supposed to create sigils for each of the types of training you were doing, weren't you?"

Scootaloo groaned, having totally forgotten mentioning that. "Aww."

"I expect you to work on at least one of them tonight. Why don't I get you a glass of chocolate milk, and then you can get started?"

At least there was chocolate involved.

Scootaloo washed down the rest of her dinner with a nice tall glass of chocolate milk. After helping Octavia clear the table, she trudged on up to her room.

Homework. Bleah.

Pretty soon, she was back at her desk, book in front of her. Having just read through the section of the book on custom sigils for what must have been the third time, her head was still spinning. Summoning weird creatures from somewhere beyond Equestria was seeming more and more appealing in comparison.

She had taken a bunch of notes as she was going, though. Where was she supposed to begin on this? She flipped through them, trying to ignore the various doodles she'd made whenever the book got boring. There were a lot of them.

Still, it looked like her first step was writing something called a statement of intent. She grabbed a blank sheet of paper, wrote Statement of Intent on the top, and underlined it a few time for good measure.

So she was supposed to write down what she wanted to happen. The examples were all along the line of "By my will, I shall something", or "This is my will to something.".

She scribbled down "This is my will to learn how to fly.". Easy. She could do the rest later, right?

She glanced back through her notes and frowned. That wasn't nearly specific enough. Also, Twilight was already working on lesson plans and things, so technically that was already true.

She crossed that off, and wrote "This is my will, to be able to fly as well as Rainbow Dash.".

That was better, wasn't it?

She looked through her notes again. "Think about the different ways your statement could be interpreted."

No, that was no good. What if Rainbow Dash broke her wings or something? Then she would technically be able to fly as well as Rainbow Dash. She crossed the statement out, shivering.

Being able to fly as well as Rainbow Dash was a little ambitious, anyways. Being able to fly as well as Fluttershy, even, would be an improvement from what she could do now.

She sighed. Alright, next attempt. "By my will, I shall be able to fly from one side of Ponyville to the other."

There we are. Much less ambitious. Most pegasuses could do that, anyways. Or was that pegasi?

She was about ready to move on when it occurred to her. Wasn't she supposed to be doing sigils for each exercise, not flying as a whole?

Ponyfeathers. She scratched that off, too.

She had just done her magic exercises, so she might as well start there. She needed something specific. "My will is to have enough magic in me to be able to fly."

Scootaloo thought for a minute. No. She started writing again. "My will is to have enough magic in me to fly across Ponyville, and be able to use it."

Her head was swimming a bit from all this. That was probably good enough, anyways. Lets move on.

The next step struck her as a bit silly, but she pulled out another sheet of paper for it anyways. She wrote down her statement without any spaces, and then started crossing out any duplicates, her tongue unconsciously creeping out of the side of her mouth while she did so.

She looked down at what she had. "MYWILSTOHAPVENUGCFRDB"

Well, alright, though she wondered if maybe she should have left the whole "My will is to" bit off the front. Still, the next part should be fun.

She took all the letters, and tried to make a design out of them. After a few tries, she realised that there was absolutely no way she could turn the letters into a picture of Rainbow Dash. Not that she was really that enthusiastic about her at the moment anyways.

Time passed, and her trash can accumulated crumpled balls of paper, but eventually she had something that looked cool and vaguely magicky, to her, at least.

So, time for the next step. She took out yet another blank sheet of paper. Now, according to what this said, she was supposed to picture a ball of energy inside her, and pull it up through her into the pencil or pen she was writing with.

She wouldn't have questioned that yesterday, but after Twilight's magic lessons, that didn't seem quite right. I mean, she couldn't channel magic through her mouth or hooves, could she?

Twilight had said something about her horn acting as an antenna. Of course she was a pegasus now, and just had wings… Wait a minute.

Rummaging under her bed turned up one or two of her old molted feathers. A little sharpening, and one was easily usable as a quill. She dipped it in ink and awkwardly tried to draw the symbol a few times, using one of her wings.

Once she had it down, she cleared her mind, channelled magic through her wings, and sketched the symbol out on a fresh piece of paper, her magic fully behind it.

After the sketch was finished, she looked at it proudly for a few minutes, focussing on her intent, and the sentence she had written earlier.

Next, she was supposed to get rid of it, which seemed like a shame after so much work. She shoved it behind one of her posters, and yawned.

It's been a long day, she thought, and got into bed, turning out the lights. Within a few minutes, any questions in her mind about the way she'd made the sigil were completely gone, and she was fast asleep.

Behind her, an orange glow came from behind one of her posters, and gradually faded away to nothing.

Author's Note:

Sorry about the wait on this. I had a while where I ended up not spending much time writing, then I had to get back into the swing of things, and the last scene of this started getting me stuck. For some reason, Cubic Zirconia's flowing a lot easier when I sit down to write recently.

Still, I think things came together well here. Lot's of thanks to Wise Cracker for putting up with me sending him no less than two drafts of this to read over. These chapters aren't usually preread, but it helped a lot for getting things going again.